Salesforce app for managing Trailblazer Community Groups.
First up, let's be clear, this is a work-in-progress project.
I'm also going to be using it to hopefully be the basis of blog articles/talks on how an app on Salesforce can be built. A case-study if you will. I'll be trying to use this README (or potentially other pages) to document the journey also.
- 2GP Support
- No real data to be stored in git repo
- Backup/restore support
Initial MVP features will be those included in the first packaged (unlocked or managed, I'm usure which yet). These features will generally be the ones that I personally believe will (mostly) meet with parity of the current non-SF tools I use in organising our TCG (Trailblazer Community Group)
- Track planning and execution of events
- Presentations
- Speakers
- Sponsorss
- Recording links
- Store (potential) sponsors details 1.Track prizes
- Event listing and stage (kanban)
- Calendar View
- Show entries/clashes from google calendars / Trailblazer Community / Salesforce events
- Sponsor Management
- Last time sponsored
- Notes on venue
- Contacts
- Sponsored amounts / prizes
- Opps
- Talks
- Potential
- Tags / Topics
- Last time a topic was spoken about
- Task mangement (e.g publish event, confirm speakers, etc)
- Dashboard
- Members
- Bevy
- YouTube
- Chatter
- Next event(s) status
- Members
- Quiz Integration
- Backup / Restore
- Speakers
........
1.
Molecular formula: C38H47Cl3N5NaO4SSi3
Method: DFT, ωB97M-V/def2-TZVPD

Structure (ORCA input):
```
! wB97M-V def2-TZVPD RIJCOSX def2/J DEFGRID3
* xyz 0 1
Na -0.83 1.17 0.26
O -3.82 6.91 4.76
N -3.26 6.81 3.69
O -2.88 7.75 3.02
C -3.06 5.46 3.14
C -4.03 4.56 3.42
C -3.97 3.25 2.88
C -4.99 2.31 3.10
C -4.90 1.07 2.52
C -3.78 0.79 1.72
N -2.80 1.65 1.51
C -2.88 2.87 2.09
C -1.80 3.82 1.85
N -0.74 3.40 1.13
C 0.21 4.26 0.85
C 0.20 5.58 1.30
C -0.85 6.03 2.05
C -1.91 5.14 2.34
H -4.87 4.86 4.04
H -5.84 2.58 3.71
H -5.66 0.32 2.65
H -3.68 -0.17 1.22
H 1.03 3.89 0.25
H 1.02 6.25 1.05
H -0.88 7.04 2.41
C -1.49 -2.03 -0.91
O -1.19 -0.67 -1.09
Si -1.44 0.27 -2.49
C -1.19 -0.87 -3.97
C -3.30 0.62 -2.48
C -0.37 1.68 -2.27
Si 1.40 1.30 -2.46
C 2.56 2.35 -1.40
C 2.06 1.44 -4.23
C 1.87 -0.47 -1.93
Si -0.95 3.27 -2.94
C -2.45 4.00 -2.04
C -1.47 3.18 -4.76
C 0.34 4.66 -2.90
H -1.52 -2.57 -1.87
H -2.46 -2.17 -0.42
H -0.73 -2.49 -0.28
H -1.94 -1.67 -4.01
H -0.20 -1.32 -4.01
H -1.31 -0.27 -4.88
H -3.85 -0.33 -2.48
H -3.63 1.20 -3.34
H -3.59 1.17 -1.58
H 2.45 3.43 -1.59
H 3.60 2.09 -1.61
H 2.40 2.17 -0.33
H 1.93 2.45 -4.63
H 1.51 0.76 -4.89
H 3.12 1.19 -4.29
H 1.55 -0.69 -0.91
H 2.96 -0.56 -1.98
H 1.44 -1.24 -2.57
H -3.33 3.36 -2.13
H -2.70 4.98 -2.47
H -2.25 4.15 -0.98
H -2.27 2.45 -4.92
H -0.62 2.87 -5.38
H -1.82 4.15 -5.13
H 0.61 4.95 -1.88
H -0.08 5.54 -3.38
H 1.25 4.39 -3.43
Cl 8.17 -6.10 0.80
C 6.56 -5.53 1.11
C 5.87 -5.99 2.23
C 4.59 -5.53 2.46
C 3.98 -4.62 1.60
C 2.58 -4.10 1.88
C 2.65 -2.78 2.63
N 1.41 -2.03 2.55
C 0.18 -2.39 3.05
C -0.67 -1.39 2.68
N 0.00 -0.43 1.96
C 1.24 -0.85 1.90
O 1.83 -4.99 2.69
C 1.38 -6.16 1.99
C 0.34 -5.87 0.96
C -0.98 -5.66 1.23
Cl -1.71 -5.67 2.79
S -1.92 -5.38 -0.17
C -0.54 -5.54 -1.17
C 0.58 -5.79 -0.45
C 4.70 -4.18 0.50
Cl 4.00 -3.02 -0.59
C 5.99 -4.62 0.24
H 6.34 -6.70 2.90
H 4.03 -5.88 3.32
H 2.06 -3.93 0.93
H 3.43 -2.16 2.19
H 2.90 -2.98 3.67
H 0.04 -3.31 3.59
H -1.72 -1.31 2.89
H 2.06 -0.35 1.41
H 0.98 -6.80 2.77
H 2.23 -6.67 1.53
H -0.63 -5.42 -2.24
H 1.56 -5.92 -0.89
H 6.53 -4.27 -0.62
*
```

Properties
E_HOMO, eV: -6.594
Maximum force, eV/Å: 0.29
HOMO-LUMO gap, eV: 5.541

***

2.
Molecular formula: C21H30N4O3
Method: DFT, ωB97M-V/def2-TZVPD

Structure (ORCA input):
```
! wB97M-V def2-TZVPD RIJCOSX def2/J DEFGRID3
* xyz 0 1
C -0.10 -0.46 -3.70
C 1.10 0.23 -3.07
C 0.72 1.34 -2.10
C 0.12 0.78 -0.80
N -0.23 1.71 0.25
C -1.53 2.35 0.17
C -1.68 3.49 -0.85
C 0.84 2.52 0.81
C 1.39 1.91 2.11
N 2.08 0.66 1.88
C 3.32 0.64 1.37
O 4.00 1.63 1.21
C 3.88 -0.75 1.02
N 2.94 -1.84 1.12
C 2.36 -2.39 0.04
O 2.64 -2.13 -1.11
C 1.26 -3.42 0.39
N -0.04 -2.78 0.34
C -0.86 -2.97 -0.73
C -2.08 -2.40 -0.82
C -2.54 -1.56 0.24
C -3.80 -0.95 0.23
C -4.19 -0.14 1.27
C -3.34 0.08 2.36
C -2.10 -0.51 2.39
C -1.68 -1.34 1.34
C -0.37 -1.95 1.39
O 0.44 -1.77 2.30
H 0.23 -1.20 -4.42
H -0.71 -0.96 -2.95
H -0.73 0.27 -4.22
H 1.71 -0.52 -2.55
H 1.72 0.65 -3.86
H 0.01 2.02 -2.58
H 1.62 1.92 -1.86
H -0.79 0.22 -1.03
H 0.85 0.08 -0.38
H -2.27 1.57 -0.05
........
- Basic details etc
- Track prizes
- Cert vouchers etc
- Knowledge
- Email to case?
- Bevy Integration
- Crawl?
- Event
- Import / Read
- Check-ins
- Mobile App
- Check-ins
- For organisers
- For Community
- Slack integration
- Quip Integration
- Support for Community Conferences as well
- Git Actions
- Create/Version diagrams when version released
- The IFK__c field above is used as an external ID - used by the data impoty/export plugin I've written
- Success Group Link
- Bevy Link
- YouTube Link
- Twitter Handle
- Twitter hashtag
- Calendar Feeds - for list calendar feeds (e.g. google calendar) to display in the calendar
- Not concerned with custom object limits
- App will be run in a pretty much standard Developer edition org.
To work on this project in a scratch org:
- Set up CumulusCI
- Clone this project and move to its directory.
- Run
cci flow run dev_org --org dev
to deploy this project. - Run
cci org browser dev
to open the org in your browser.
This project uses PlantUML for it's diagram generation from src. In VS Code I have been using this extension with the following workspace settings
"plantuml.diagramsRoot": "docs/diagrams/src/",
"plantuml.exportOutDir": "docs/diagrams/",
"plantuml.exportSubFolder": false
- Which devhub should/can be used for a project like this?
- Formulated initial ERD - note the one above is the latest erd - and although all the diagrams are written using plant UML - and therefore version controlled - I've decided to keep a copy of minor iteration of ERD in github to enable easier visibility.
- Initial project creation
- Decided to use Cumulus CI following chats with their community and research. Some thoughts on this;
- CCI supports SFDX priniciples
- 2GP (required for this project) although not supported (at the time of writing) by CCI, you can package up 2GP projects manually using the standard SFDX CLI commands,